I am motivated by the rhythm of nature and its teachings

I am motivated by the rhythm of nature and its teachings

Someone pasted crystal structures at this point:
/*
1.
The following is a DFT calculation (PBE-GGA) of a relaxed BaPrCu2O5 crystal.

a = 3.9233 Å, b = 7.9011 Å, c = 11.6939 Å
α = 90.00°, β = 90.00°, γ = 90.00°
With the nearest neighbours (Å) after each atom.
Space group Pmm2 (No. 25)
One atom of each set of equivalent atoms:
Ba  0.0000  0.0000  0.0000 [1 per cell]  10 O 2.73-2.98
Ba  0.0000  0.0000  0.3629 [1 per cell]  10 O 2.78-2.92
Ba  0.0000  0.5000  0.0086 [1 per cell]  12 O 2.85-3.06
Pr  0.0000  0.0000  0.6799 [1 per cell]  8 O 2.48-2.55
Pr  0.0000  0.5000  0.3350 [1 per cell]  8 O 2.54-2.70
Pr  0.0000  0.5000  0.6768 [1 per cell]  8 O 2.48-2.53
Cu  0.5000  0.2509  0.8351 [2 per cell]  5 O 1.99-2.16
Cu  0.5000  0.2528  0.5258 [2 per cell]  5 O 1.96-2.11
Cu  0.5000  0.2543  0.1807 [2 per cell]  5 O 1.89-1.97
O  0.0000  0.2449  0.1920 [2 per cell]  2 Cu 1.97
O  0.0000  0.2493  0.8091 [2 per cell]  2 Cu 1.99
O  0.0000  0.2533  0.5453 [2 per cell]  2 Cu 1.97
O  0.5000  0.0000  0.5468 [1 per cell]  2 Cu 2.01
O  0.5000  0.0000  0.8115 [1 per cell]  2 Cu 2.00
O  0.5000  0.2395  0.0193 [2 per cell]  1 Cu 1.89
O  0.5000  0.2655  0.3455 [2 per cell]  2 Cu 1.93-2.11
O  0.5000  0.5000  0.1964 [1 per cell]  2 Cu 1.95
O  0.5000  0.5000  0.5407 [1 per cell]  2 Cu 1.96
O  0.5000  0.5000  0.8096 [1 per cell]  2 Cu 1.99

Results
Calculated formation energy: -2.17 eV/atom
Total magnetic moment: 0.014 μB per atom


2.
The following is a DFT calculation (PBE-GGA) of a relaxed Ba4Pr2Cu6O13 crystal.

a = 7.8177 Å, b = 7.9530 Å, c = 24.0612 Å
α = 90.00°, β = 90.00°, γ = 90.00°
With the nearest neighbours (Å) after each atom.
Space group Fmmm (No. 69)
One atom of each set of equivalent atoms:
Ba  0.2436  0.0000  0.0944 [16 per cell]  9 O 2.75-2.97
Pr  0.2500  0.0000  0.2500 [8 per cell]  8 O 2.49-2.52
Cu  0.0000  0.2365  0.0000 [8 per cell]  3 O 1.83-1.88
Cu  0.0000  0.2485  0.3232 [16 per cell]  4 O 1.97-2.01
O  0.0000  0.0000  0.0000 [4 per cell]  2 Cu 1.88
O  0.0000  0.0000  0.1840 [8 per cell]  2 Cu 2.01
O  0.0000  0.0000  0.3144 [8 per cell]  2 Cu 1.99
O  0.0000  0.2298  0.4248 [16 per cell]  1 Cu 1.83
O  0.2500  0.2500  0.1859 [16 per cell]  2 Cu 1.97

Results
Calculated formation energy: -2.17 eV/atom
Total magnetic moment: 0.003 μB per atom


3.
The following is a DFT calculation (PBE-GGA) of a relaxed BaSrPrCu3O7 crystal.

a = 3.8262 Å, b = 3.9406 Å, c = 11.7488 Å
α = 90.00°, β = 90.00°, γ = 90.00°
With the nearest neighbours (Å) after each atom.
Space group Pmm2 (No. 25)
One atom of each set of equivalent atoms:
Ba  0.0000  0.0000  0.0000 [1 per cell]  10 O 2.76-3.03
Sr  0.0000  0.0000  0.6437 [1 per cell]  10 O 2.75-2.94
Pr  0.0000  0.0000  0.3264 [1 per cell]  8 O 2.47-2.50
Cu  0.5000  0.5000  0.1683 [1 per cell]  4 O 1.94-1.99
Cu  0.5000  0.5000  0.4840 [1 per cell]  5 O 1.94-2.09
Cu  0.5000  0.5000  0.8197 [1 per cell]  4 O 1.85-1.97
O  0.0000  0.5000  0.1955 [1 per cell]  2 Cu 1.94
O  0.0000  0.5000  0.4579 [1 per cell]  2 Cu 1.94
O  0.5000  0.0000  0.1934 [1 per cell]  2 Cu 1.99
*/

I am motivated by the rhythm of nature and its teachings

I am motivated by the rhythm of nature and its teachings. Nature is an incredible teacher that has so much to offer. Its rhythm is a constant reminder of the beauty and simplicity of life. Whether it's the slow and steady growth of a tree or the ebb and flow of the ocean, nature teaches us valuable lessons about patience, resilience, and balance.

When you observe the changing seasons, you realize that change is a natural part of life. Just as the trees shed their leaves in the fall and bloom again in the spring, we too must learn to adapt and grow. Nature encourages us to embrace change and find beauty in the transitions we experience.

The rhythm of nature also reminds you to be present and mindful. When you take a moment to listen to the birds chirping or feel the warmth of the sun on your skin, you are reminded to stay connected to the present moment. Nature teaches you to appreciate the small joys in life and find peace in the simplicity of nature's rhythms.

Additionally, nature teaches you about resilience and perseverance. When you see a flower emerging through a crack in the concrete or witness a plant growing in the harshest of conditions, you are inspired to never give up. Nature shows you that even in the face of adversity, there is always a way to thrive and overcome obstacles.

(Unrelated to this entry: data records)
=====
Entry 1:
Here is a relaxed structure of LuZr6P9O36 from Materials Project. Energies are from GGA-PBE.

Cell: 8.9424 8.9424 22.7550 Å, 90.00 90.00 120.00°
Last column: nearest neighbours and their distance in Å.
Fractional positions:
Zr 0.0000 0.0000 0.1484  6 O 2.02-2.25
Zr 0.0000 0.0000 0.8516  6 O 2.02-2.25
Zr 0.3333 0.6667 0.0296  6 O 2.08-2.11
Zr 0.6667 0.3333 0.1870  6 O 2.07-2.12
Zr 0.3333 0.6667 0.8130  6 O 2.07-2.12
Zr 0.3333 0.6667 0.3130  6 O 2.07-2.12
Zr 0.0000 0.0000 0.3516  6 O 2.02-2.25
Zr 0.0000 0.0000 0.6484  6 O 2.02-2.25
Zr 0.3333 0.6667 0.5296  6 O 2.08-2.11
Zr 0.6667 0.3333 0.9704  6 O 2.08-2.11
Zr 0.6667 0.3333 0.6870  6 O 2.07-2.12
Zr 0.6667 0.3333 0.4704  6 O 2.08-2.11
O 0.8255 0.0298 0.3045  1 P 1.56
O 0.3098 0.8409 0.7593  1 P 1.52
O 0.2869 0.8303 0.4754  1 P 1.53
O 0.7957 0.9702 0.1955  1 P 1.56
O 0.3734 0.4895 0.5757  1 P 1.54
O 0.1591 0.6902 0.2593  1 P 1.52
O 0.8303 0.2869 0.0246  1 P 1.53
O 0.5433 0.7131 0.4754  1 P 1.53
O 0.8508 0.3082 0.1354  1 P 1.53
O 0.5312 0.6902 0.7593  1 P 1.52
O 0.7957 0.8255 0.6955  1 P 1.56
O 0.6918 0.1492 0.6354  1 P 1.53
O 0.4688 0.1591 0.7407  1 P 1.52
O 0.4895 0.3734 0.9243  1 P 1.54
O 0.8839 0.3734 0.4243  1 P 1.54
O 0.1697 0.7131 0.9754  1 P 1.53
O 0.5105 0.6266 0.0757  1 P 1.54
O 0.9894 0.8240 0.5757  1 P 1.59
O 0.3082 0.8508 0.3646  1 P 1.53
O 0.1161 0.4895 0.0757  1 P 1.54
O 0.2043 0.0298 0.8045  1 P 1.56
O 0.3734 0.8839 0.0757  1 P 1.54
O 0.9894 0.1655 0.0757  1 P 1.59
O 0.5425 0.8508 0.8646  1 P 1.53
O 0.8240 0.9894 0.9243  1 P 1.59
O 0.0298 0.2043 0.6955  1 P 1.56
O 0.8255 0.7957 0.8045  1 P 1.56
O 0.1760 0.1655 0.5757  1 P 1.59
O 0.1655 0.9894 0.4243  1 P 1.59
O 0.0298 0.8255 0.1955  1 P 1.56
O 0.8240 0.8345 0.4243  1 P 1.59
O 0.7131 0.1697 0.5246  1 P 1.53
O 0.1697 0.4567 0.4754  1 P 1.53
O 0.6266 0.5105 0.4243  1 P 1.54
O 0.5425 0.6918 0.3646  1 P 1.53
O 0.6902 0.1591 0.2407  1 P 1.52
O 0.4575 0.1492 0.1354  1 P 1.53
O 0.6266 0.1161 0.9243  1 P 1.54
O 0.8303 0.5433 0.5246  1 P 1.53
O 0.5312 0.8409 0.2593  1 P 1.52
O 0.1492 0.6918 0.8646  1 P 1.53
O 0.8409 0.5312 0.2407  1 P 1.52
O 0.8409 0.3098 0.7407  1 P 1.52
O 0.1591 0.4688 0.7593  1 P 1.52
O 0.0106 0.1760 0.4243  1 P 1.59
O 0.1161 0.6266 0.5757  1 P 1.54
O 0.0106 0.8345 0.9243  1 P 1.59
O 0.5105 0.8839 0.5757  1 P 1.54
O 0.2043 0.1745 0.3045  1 P 1.56
O 0.2869 0.4567 0.9754  1 P 1.53
O 0.8839 0.5105 0.9243  1 P 1.54
O 0.1760 0.0106 0.0757  1 P 1.59
O 0.3082 0.4575 0.8646  1 P 1.53
O 0.6918 0.5425 0.1354  1 P 1.53
O 0.1745 0.2043 0.1955  1 P 1.56
O 0.5433 0.8303 0.9754  1 P 1.53
O 0.3098 0.4688 0.2593  1 P 1.52
O 0.6902 0.5312 0.7407  1 P 1.52
O 0.4895 0.1161 0.4243  1 P 1.54
O 0.8508 0.5425 0.6354  1 P 1.53
O 0.4688 0.3098 0.2407  1 P 1.52
O 0.9702 0.7957 0.3045  1 P 1.56
O 0.4575 0.3082 0.6354  1 P 1.53
O 0.9702 0.1745 0.8045  1 P 1.56
O 0.1655 0.1760 0.9243  1 P 1.59
O 0.4567 0.2869 0.5246  1 P 1.53
O 0.1492 0.4575 0.3646  1 P 1.53
O 0.1745 0.9702 0.6955  1 P 1.56
O 0.4567 0.1697 0.0246  1 P 1.53
=====
(The data records stop here)

The rhythms of nature also remind you of the importance of balance. Just as the tides rise and fall, and night turns into day, finding a balance in your own life is essential. Nature teaches you that there is a time for activity and a time for rest. It encourages you to listen to your body and honor the natural ebb and flow of energy.

Nature also reminds you of your interconnectedness with the world around you. When you see a bustling beehive or a perfectly woven spider's web, you are reminded of the intricate web of life we all are a part of. Nature teaches you to respect and cherish the world around you, as each living being has a vital role to play in the grand scheme of things.

Next to the page, the page also holds materials data:
First-principles (PBE with a Hubbard U) data for a relaxed structure of Li9Fe23O32, as listed in the Materials Project database.

Cell: 8.5940 8.5940 8.5549 Å, 89.95 89.95 90.04°
Fractional positions:
Li 0.3719 0.6281 0.5000
Li 0.6223 0.8725 0.5016
Li 0.1284 0.8716 0.5000
Li 0.1275 0.3777 0.4984
Li 0.8766 0.3794 0.2506
Li 0.8753 0.6225 0.0025
Li 0.3775 0.1247 0.9975
Li 0.3744 0.6256 0.0000
Li 0.6206 0.1234 0.7494
Fe 0.8768 0.1232 0.5000
Fe 0.8792 0.6277 0.4984
Fe 0.3723 0.1208 0.5016
Fe 0.6226 0.3774 0.5000
Fe 0.8720 0.8705 0.2525
Fe 0.6212 0.1237 0.2516
Fe 0.3790 0.8740 0.2614
Fe 0.3722 0.3783 0.2528
Fe 0.6280 0.6221 0.2506
Fe 0.1245 0.1345 0.2540
Fe 0.1227 0.6172 0.2587
Fe 0.8734 0.1266 0.0000
Fe 0.6185 0.8708 0.9992
Fe 0.6202 0.3798 0.0000
Fe 0.1324 0.8676 0.0000
Fe 0.1292 0.3815 0.0008
Fe 0.8655 0.8755 0.7460
Fe 0.6217 0.6278 0.7472
Fe 0.3828 0.8773 0.7413
Fe 0.3779 0.3720 0.7494
Fe 0.8763 0.3788 0.7484
Fe 0.1295 0.1280 0.7475
Fe 0.1260 0.6210 0.7386
O 0.6335 0.1368 0.4966
O 0.6281 0.6114 0.5056
O 0.1159 0.1264 0.5055
O 0.1256 0.6248 0.4974
O 0.8736 0.8841 0.4945
O 0.8632 0.3665 0.5034
O 0.3752 0.8744 0.5026
O 0.3886 0.3719 0.4944
O 0.8768 0.1264 0.2499
O 0.6127 0.8718 0.2495
O 0.6276 0.3763 0.2452
O 0.1349 0.8709 0.2413
O 0.1219 0.3815 0.2503
O 0.8823 0.6234 0.2480
O 0.3715 0.1110 0.2489
O 0.3679 0.6375 0.2508
O 0.8841 0.8856 0.0046
O 0.6361 0.1302 0.0030
O 0.6261 0.6188 0.9937
O 0.3662 0.8763 0.9962
O 0.8698 0.3639 0.9970
O 0.3812 0.3739 0.0063
O 0.1144 0.1159 0.9954
O 0.1237 0.6338 0.0038
O 0.8736 0.1232 0.7501
O 0.8890 0.6285 0.7511
O 0.6185 0.8781 0.7497
O 0.3766 0.1177 0.7520
O 0.3625 0.6321 0.7492
O 0.6237 0.3724 0.7548
O 0.1291 0.8651 0.7587
O 0.1282 0.3873 0.7505

space-group type = C2, No. 5

---

First-principles (PBE with a Hubbard U) data for a relaxed structure of Ba2EuV3O11, as listed in the Materials Project database.

Cell: 7.8257 12.5154 11.4540 Å, 103.15 90.00 90.00°
Fractional positions:
Ba 0.2735 0.7660 0.9415
Ba 0.7265 0.2340 0.0585
Ba 0.7735 0.2340 0.5585
Ba 0.2265 0.7660 0.4415
Ba 0.7474 0.5543 0.8893
Ba 0.2526 0.4457 0.1107
Ba 0.2474 0.4457 0.6107
Ba 0.7526 0.5543 0.3893
Eu 0.4989 0.9977 0.7184
Eu 0.5011 0.0023 0.2816
Eu 0.9989 0.0023 0.7816
Eu 0.0011 0.9977 0.2184
V 0.7538 0.9040 0.9753
V 0.2462 0.0960 0.0247
V 0.2538 0.0960 0.5247
V 0.7462 0.9040 0.4753
V 0.5200 0.6831 0.6733
V 0.4800 0.3169 0.3267
V 0.0200 0.3169 0.8267
V 0.9800 0.6831 0.1733
V 0.9806 0.6865 0.6704
V 0.0194 0.3135 0.3296
V 0.4806 0.3135 0.8296
V 0.5194 0.6865 0.1704
O 0.4424 0.8154 0.7194
O 0.5576 0.1846 0.2806
O 0.9424 0.1846 0.7806
O 0.0576 0.8154 0.2194
O 0.5523 0.1801 0.8096
O 0.4477 0.8199 0.1904
O 0.0523 0.8199 0.6904
O 0.9477 0.1801 0.3096
O 0.7503 0.6675 0.6676
O 0.2497 0.3325 0.3324
O 0.2503 0.3325 0.8324
O 0.7497 0.6675 0.1676
O 0.9449 0.3756 0.9659
O 0.0551 0.6244 0.0341
O 0.4449 0.6244 0.5341
O 0.5551 0.3756 0.4659
O 0.9417 0.3931 0.7322
O 0.0583 0.6069 0.2678
O 0.4417 0.6069 0.7678
O 0.5583 0.3931 0.2322
O 0.7836 0.9865 0.6209

So, the affirmation, "I am motivated by the rhythm of nature and its teachings" holds immense power. It reminds you to be present, find beauty in change, embrace resilience, seek balance, and honor the interconnectedness of all living beings. Nature is a wise teacher, and by tapping into its rhythm and teachings, you can find inspiration, motivation, and a deeper connection to the world around you.